CAUTIONARY TALES EPISODE 14 « Law Offices of Timothy Bowles | Top Employment Law Firm in Los Angeles


Workplace Illness and Injury Prevention Programs are Mandatory in California

# Here the article breaks off for calculated crystals
=====
(1)
The following is a PBE calculation of a relaxed Al2O3 crystal, from the Materials Project database.

abc: 10.0015 10.6084 10.6221
angles: 92.89 90.64 92.54
Space group P1 (No. 1)
One atom of each set of equivalent atoms:
Al (0.0000, 0.0000, 0.0000)
Al (0.0013, 0.9601, 0.2730)
Al (0.0126, 0.6708, 0.4035)
Al (0.0394, 0.1816, 0.7401)
Al (0.0649, 0.7312, 0.8803)
Al (0.1212, 0.1184, 0.4974)
Al (0.1571, 0.5163, 0.0897)
Al (0.1664, 0.2081, 0.2007)
Al (0.1933, 0.4848, 0.3849)
Al (0.1951, 0.9695, 0.7295)
Al (0.2203, 0.8373, 0.2258)
Al (0.3064, 0.7638, 0.5112)
Al (0.3288, 0.4928, 0.7609)
Al (0.3422, 0.1921, 0.8194)
Al (0.3502, 0.6825, 0.0022)
Al (0.3617, 0.2268, 0.3782)
Al (0.3646, 0.3645, 0.0244)
Al (0.4241, 0.0364, 0.5671)
Al (0.4855, 0.5146, 0.2114)
Al (0.4882, 0.5346, 0.5083)
Al (0.4964, 0.0943, 0.1339)
Al (0.5035, 0.8102, 0.2647)
Al (0.5204, 0.0204, 0.8396)
Al (0.5251, 0.7165, 0.7368)
Al (0.5608, 0.3039, 0.6498)
Al (0.6100, 0.3046, 0.9823)
Al (0.6428, 0.3082, 0.3380)
Al (0.6891, 0.9266, 0.0719)
Al (0.6971, 0.6309, 0.3328)
Al (0.7136, 0.9561, 0.6852)
Al (0.7158, 0.9470, 0.4250)
Al (0.7620, 0.2520, 0.7947)
Al (0.7918, 0.6110, 0.6155)
Al (0.8053, 0.7454, 0.8759)
Al (0.8133, 0.1533, 0.2351)
Al (0.8873, 0.3314, 0.5187)
Al (0.9466, 0.2937, 0.0271)
Al (0.9489, 0.4616, 0.2446)
Al (0.9573, 0.8651, 0.6352)
Al (0.9927, 0.4787, 0.7615)
O (0.0022, 0.4383, 0.4107)
O (0.0063, 0.2233, 0.5774)
O (0.0299, 0.0474, 0.8347)
O (0.0612, 0.1641, 0.0563)
O (0.0691, 0.8177, 0.3292)
O (0.0806, 0.9816, 0.5849)
O (0.0832, 0.1075, 0.3279)
O (0.1109, 0.8151, 0.7464)
O (0.1145, 0.9414, 0.1399)
O (0.1209, 0.5592, 0.2494)
O (0.1605, 0.5068, 0.7341)
O (0.1720, 0.6548, 0.9837)
O (0.1779, 0.6410, 0.4764)
O (0.2084, 0.1671, 0.7109)
O (0.2178, 0.3481, 0.1115)
O (0.2221, 0.3175, 0.3558)
O (0.3022, 0.1130, 0.4784)
O (0.3207, 0.9052, 0.6104)
O (0.3266, 0.3625, 0.8610)
O (0.3356, 0.0189, 0.8435)
O (0.3454, 0.5424, 0.0897)
O (0.3476, 0.8216, 0.3554)
O (0.3522, 0.1501, 0.2202)
O (0.3591, 0.8042, 0.1221)
O (0.3882, 0.5161, 0.3651)
O (0.4086, 0.6415, 0.8446)
O (0.4340, 0.6777, 0.5884)
O (0.4462, 0.2078, 0.9832)
O (0.4465, 0.4380, 0.6398)
O (0.4662, 0.1597, 0.6941)
O (0.5138, 0.2875, 0.4502)
O (0.5297, 0.4114, 0.0801)
O (0.5576, 0.8822, 0.7450)
O (0.5621, 0.0105, 0.9981)
O (0.5644, 0.6629, 0.2100)
O (0.5768, 0.9551, 0.2134)
O (0.5824, 0.0081, 0.5136)
O (0.6103, 0.3408, 0.8201)
O (0.6346, 0.1980, 0.2002)
O (0.6384, 0.4613, 0.2894)
O (0.6554, 0.7941, 0.3781)
O (0.6640, 0.5740, 0.4977)
O (0.6853, 0.6516, 0.7460)
O (0.6885, 0.7809, 0.9917)
O (0.6938, 0.0888, 0.7905)
O (0.7368, 0.2788, 0.6274)
O (0.7772, 0.2647, 0.9718)
O (0.7913, 0.2503, 0.3915)
O (0.8236, 0.9538, 0.5576)
O (0.8307, 0.8551, 0.7550)
O (0.8370, 0.0045, 0.3160)
O (0.8392, 0.0299, 0.0889)
O (0.8702, 0.6102, 0.2970)
O (0.8862, 0.4735, 0.6281)
O (0.9087, 0.2951, 0.1951)
O (0.9177, 0.7153, 0.5441)
O (0.9294, 0.6190, 0.8375)
O (0.9553, 0.3120, 0.8193)
O (0.9585, 0.8314, 0.9651)
O (0.9883, 0.4599, 0.0596)
=====

On July 10, 2018, Cal/OSHA issued a press release that is a stark reminder of the need for an Illness and Injury Prevention Program (IIPP) both on paper and in practice. Cal/OSHA cited SSA Pacific Inc., a marine cargo handler in San Diego, for safety violations that resulted in the death of a longshoreman at the Port of San Diego after a forklift accident. The citations total a proposed $205,235.

The press release describes what appears to be negligence on the part of the deceased worker in running the forklift into a concrete support column. Cal/OSHA cited the employer because the worker was not wearing a seatbelt and several safety devices on the forklift were disabled. The agency also faulted employer for lack of maintenance, inspection, training and safety checks. The citation also included the unrelated violation of not having an effective heat illness prevention plan. It classified the violations as willful (intentional and knowing) and/or serious (realistic possibility serious harm or death could result).

Fatalities of this nature also often result in wrongful death lawsuits.

While many employers do not have such potentially dangerous equipment in their businesses, California law requires all employers to have an IIPP. As Cal/OSHA did not cite the employer for lack of an IIPP, we can assume the company had one but was not following it. An IIPP must include: assignment of responsibilities to specific staff; a system for effective safety communications; an employee compliance system; accident investigations; correction procedures for non-compliant conditions; training and instruction on safety and health; and documentation/recordkeeping. Having and actually implementing an IIPP protects workers from injury or death, thereby also avoiding expensive repercussions to the employer.

The law allows employers with fewer than 10 employees to address most requirements in a simpler way, with oral instruction “in general safe work practices with specific instructions with respect to hazards unique to the employees’ job assignments” and other reduced record-keeping rules.

Cal/OSHA has many tools available to assist businesses, including a guide to creating an IIPP, and sample IIPPs for high hazard employers, non-high hazard employers, intermittent workers, and workplace security. Employers also can seek assistance from an attorney in preparing an IIPP and should have the attorney review any self-drafted IIPPs.

Of course, having an IIPP on paper will accomplish nothing if the business does not implement it. The savings in safe and healthy workers and avoided fines and lawsuits is well worth it.

For further information, please contact Tim Bowles, Cindy Bamforth or Helena Kobrin.

Helena Kobrin

July 19, 2018